Monday, July 30, 2007

Omega...the beginning of the end

For some strange reason I suddenly have a loss of words. This is very strange because in the last few days, I've wanted to talk very incessantly...and so I've been talking a good deal. But I've for some strange reason found it impossible to communicate myself thus far this morning.
My mind is overflowing with interesting and provoking thoughts and I can't seem to get them out. Oi.
The ending is annoying... of anything... Not for Bryce anyways, he loves moving on...
For those who have ever ended anything... Saying goodbye to your friends... watched an amazing movie series... Or whatever, the ending brings with it, this longing... wishing... for it to continue. I even get that after reading a good book. Wierd.
This was thought #1...

Thought #2: Girls seem to view their shoes the same way a Guy would eye a nice car. They argue and coverse about design features and mention how this model compares to other similar ones and how it beats out 'last year's model'. And both shoes and cars are designed to take us to varying destinations... Wierd.

Thought #3: I think we underestimate righteousness... (right living by God's way of thinking) Or perhaps we over estimate it. Maybe we just don't quite get it at all. I find it so easy to wallow around in my comfortable world of semi-righteousness. Things are going so good right now... But as I read through the Psalms, I found that it's not worth it in the end to live like that. The ones who really are living the way God wants will be richly repaid... even if they find it hard now... and those who find it easy now will find just how much they may have been displeasing God as He watched silently. It's been like a cold shower shock to my thinking lately. We need to be doing what God wants of us, whether or not things are going good for us. A lot of bad things happen to good people. And many will hold on until near the end and then give up and freak out. We need to hold on. People like Job and David reminded me just how much we need to be clinging onto God's love and trying to be holy. But it's not to be like one of those... 'Oh, now I have to be holy... ' things. It's like if I know I'm going to be meeting someone special, say Karina, and I notice that I stink... or I haven't got very good breath... I'll go and get cleaned up for her arrival. It's not something I have to do. But it's something I want to do. That is how we should love God. Whether things are good or bad.

Thought #4: God doesn't want sacrifice... he wants us. Broken and willing to be used by Him. That is what is: a) Pleasing to God, and b) Pleasing to us. We find ourselves most fulfilled when God is pleased with us.
This week I was more sick than I've been all year. This nasty flu came and swept through AJ at camp 2 weeks ago, and then at the start of this week Rhys caught it and then I caught it right after him. I'm not quite recovered yet. My throat is still really sandpapery. None the less, I have much more energy then I did before and I'm glad to be able to get around and expend some energy again.
We finished our 'last' sunday service program other than our last 'last' one that's at the end of this week... and of course not counting our last last 'last' program which will in fact be a bunch of program stuff at the big IMCO conference in the middle of August they have once every 4 years. I'm very much looking forward to that for several reasons. One, I get to see my family... Two, I get to let them see our programs stuff... and three, I get to see everyone else, and they all get to see our program stuff too! ^_^ I'm very excited for it.
Anyways, this last sunday, it was really fun. Things went well, and we enjoyed doing our best for God in that program and He was definately helping us to do it. lol, we have this drama where AJ comes in on his knees to find Bryce, Janelle and myself all kneeling in the middle of the stage. He excitedly informs us that he has legs. We all laugh at him for it. I mean, to think of someone actually having legs to move about with? Absurd! Anyways, he rocks our world by telling us that we have legs and then he lifts us to our feet and we all join with him in our excitement. At the end, we want to go tell others, but instead of walking to them with our legs that we have now, we use our knees. We need to be using the things God has given us to use for his kingdom. Now, normally, I just crawl down the stage steps on my knees and go to my seat. But this last sunday, I was wearing one of my pairs of 'smooth' dress pants. ER... trousers. Anyways, so as I was going down the steps, I slipped and went head first down to the floor, my feet stuck in the air. My team thought I was just going over the top with my acting, but lol, if they only knew that I had accidently nearly faceplanted myself into their carpet.
It was fun.
Speaking of fun, I have Onion Rings to finish eating. Have a wonderful day and may you listen for God is the quiet today.
Grace and Peace

Tuesday, July 17, 2007

Cycles of pain... Cycles of joy

I write this, covered in several layers of sweat. Cabin dudes lookin over my shoulder. The sounds of chattering and stomping feet… Mosquitoes biting my bare back.
This was a great week… though I’m very very tired.
I’ve been counselling this week with a guy named Steven. He’s real awesome. At the start this week, I had asked if he could share his story for later this week. I never really grasped how much that may mean. It was a tough week. But a good week. Anyways, yesterday I asked Steve if he could share his story again. The guys in our cabin joined in the interest of Steve’s past. That’s when we got a bit of a surprise. We found out that 2 years ago to the day, Steve had been in an accident in Mexico.
He had been stick fighting with a friend on a short mission trip with metal brooms. They were in this high building and when he held up the broom stick at one point, the power lines were nearby… The 14000V electricity made an arc across to the broom and went through Steve’s arm and then down the building into the ground. This accident left him with a charred arm and clenched hand for a while and he had to stay in the hospital for 7 weeks. It was really painful for him to talk to us about this, because this day was the anniversary. It was really cool to see God work the healing process. It gave the whole cabin a great respect for him. Suddenly I realized why he did some of the things he did.
It was so great to see him telling these kids that God can use even terribly painful circumstances and problems to work out good things in the end.
Things will work out in the end…
That is a comforting thought.
An end to pain and suffering…
An end to bitterness…
An end to endings…
And the beginning of forever…
- July 14th 2007

Another week have camp has begun. This is not the same camp, nor does it feel anything like it. We are at Camp Evergreen and I was quite pleased that I got a free staff T-shirt, that not only fits, but that I quite enjoy how it looks. In large letters, 'Reckless Abandon' in a strong yellowy orange straddles chest.
This week has been interesting in that it is a lot larger than any of the camps I have previously been. They have a lot of staff. In fact, our VTI team's responsibility is only to take a half hour in the evening. Normally, I'd be let down that we don't have much to do. On the other hand, this allows for me to be able to catch up on some very much needed rest and this frees us up to focus on the IMCO conference that is beginning to loom ahead of us with many mixed feelings. It's great as far as the conference goes. But we also realize that the IMCO conference at Briercrest will be our last opportunity to experience as the team F&F63. Bryce will be going to Bible School next year instead of coming back on Encore. Alas, we will cease to be 'Portable Instanity' without him letting us know when we do crazy things.
He will be sorely missed.
As also I have sorely missed many of you all this year. Thank you so much for your prayers. You are not forgotten.

### Here the piece breaks off for calculated crystals
P | A plane-wave DFT calculation with PBEsol was carried out for crystalline AlSn2As at its relaxed geometry.

The structure in POSCAR format:
```
AlSn2As
1.0
6.1706 0.0000 0.0000
0.0000 6.1706 0.0000
0.0000 0.0000 12.3594
Al Sn As
4 8 4
Direct
0.0000 0.0000 0.0000 Al
0.0000 0.5000 0.2500 Al
0.5000 0.0000 0.7500 Al
0.5000 0.5000 0.5000 Al
0.2481 0.2500 0.1250 Sn
0.2500 0.7481 0.3750 Sn
0.2500 0.7519 0.8750 Sn
0.2519 0.2500 0.6250 Sn
0.7481 0.7500 0.6250 Sn
0.7500 0.2481 0.8750 Sn
0.7500 0.2519 0.3750 Sn
0.7519 0.7500 0.1250 Sn
0.0000 0.0000 0.5000 As
0.0000 0.5000 0.7500 As
0.5000 0.0000 0.2500 As
0.5000 0.5000 0.0000 As
```

Computed properties:
Calculated volume = 471 Å³ per cell
Space group = I-42d (122)
Magnetic moment = 0.00 μB/f.u.

Q | A plane-wave DFT calculation with PBEsol was carried out for crystalline AlSn2As at its relaxed geometry.

The structure in POSCAR format:
```
AlSn2As
1.0
7.0807 0.0000 0.0000
0.0000 7.0807 0.0000
0.0000 0.0000 7.0807
Al Sn As
4 8 4
Direct
0.0000 0.0000 0.0000 Al
0.0000 0.5000 0.5000 Al
0.5000 0.0000 0.5000 Al
0.5000 0.5000 0.0000 Al
0.2500 0.2500 0.2500 Sn
0.2500 0.2500 0.7500 Sn
0.2500 0.7500 0.2500 Sn
0.2500 0.7500 0.7500 Sn
0.7500 0.2500 0.2500 Sn
0.7500 0.2500 0.7500 Sn
0.7500 0.7500 0.2500 Sn
0.7500 0.7500 0.7500 Sn
0.0000 0.0000 0.5000 As
0.0000 0.5000 0.0000 As
0.5000 0.0000 0.0000 As
0.5000 0.5000 0.5000 As
```

Computed properties:
Calculated volume = 355 Å³ per cell
Space group = Fm-3m (225)
Magnetic moment = 0.00 μB/f.u.

Stability ranking, top entry: P; the second entry is 111 meV/atom less favorable.

P | A plane-wave DFT calculation with PBEsol was carried out for crystalline AlTc2As at its relaxed geometry.

The structure in POSCAR format:
```
AlTc2As
1.0
7.1945 0.0000 0.0000
0.0000 7.1945 0.0000
0.0000 0.0000 5.0562
Al Tc As
4 8 4
Direct
0.0000 0.0000 0.0000 Al
0.0000 0.5000 0.2500 Al
0.5000 0.0000 0.7500 Al
0.5000 0.5000 0.5000 Al
0.1866 0.2500 0.6250 Tc
0.2500 0.6866 0.8750 Tc
0.2500 0.8134 0.3750 Tc
0.3134 0.2500 0.1250 Tc
0.6866 0.7500 0.1250 Tc
0.7500 0.1866 0.3750 Tc
0.7500 0.3134 0.8750 Tc
0.8134 0.7500 0.6250 Tc
0.0000 0.0000 0.5000 As
0.0000 0.5000 0.7500 As
0.5000 0.0000 0.2500 As
0.5000 0.5000 0.0000 As
```

Computed properties:
Calculated volume = 262 Å³ per cell
Space group = I-42d (122)
Magnetic moment = 0.00 μB/f.u.

Q | A plane-wave DFT calculation with PBEsol was carried out for crystalline AlTc2As at its relaxed geometry.

The structure in POSCAR format:
```
AlTc2As
1.0
2.8983 0.0000 0.0000
-1.4491 2.5100 0.0000
0.0000 0.0000 24.4434
Al Tc As
3 6 3
Direct
0.0000 0.0000 0.0000 Al
0.3333 0.6667 0.6667 Al
0.6667 0.3333 0.3333 Al
0.0000 0.0000 0.4977 Tc
0.0000 0.0000 0.7478 Tc
0.3333 0.6667 0.1644 Tc
0.3333 0.6667 0.4144 Tc
0.6667 0.3333 0.0811 Tc
0.6667 0.3333 0.8311 Tc
0.0000 0.0000 0.2420 As
0.3333 0.6667 0.9087 As
0.6667 0.3333 0.5753 As
```

Computed properties:
Calculated volume = 178 Å³ per cell
Space group = R3m (160)
Magnetic moment = 0.00 μB/f.u.
### The piece goes on

Life is such a strange and fragile thing. We blink and we see moments pass us by that will never return. And to dwell merely on the thoughts such as this as we watch ourselves and others age would only lead to sorrow and hopelessness.
This is why I am so exceedingly glad to know that life does go on. We were never made to live forever in this body. But one day we will. In fact, the very longing for immortality, for joy and a lack of pain is our souls longing for the day that is inevitable when things are set right by the Creator of all things. What a day that will be.

In the meantime, let us show the world to which citizenship we truly belong.


Sunday, July 08, 2007

I have returned!

The van smelled like people. Sweating, tired, people. At least it wasn’t 104 degrees like the day before, but none the less, it was really hot. The funny thing is, I didn’t mind the heat. Being in China 2 years ish ago, I learned to enjoy the feeling of having to perspire a lot. It’s weird, I know, but at the end of a long hot day, having a simple cool shower makes a refreshment that we cannot otherwise understand. It is so cleansifying… I know cleansifying isn’t actually a word, but it serves the meaning I wish to convey better.

Between two parts of the entry: materials data >
'''
8
Lattice="-4.2659 4.2659 3.2000 4.2659 -4.2659 3.2000 4.2659 4.2659 -3.2000" Properties=species:S:1:pos:R:3 comment="GGA-PBE Ca2MgNb, relaxed" e_form_ev_per_atom=0.802 pbc="T T T"
Ca 6.3988 2.1148 -0.8000
Ca 2.1148 2.1329 0.8000
Ca -2.1329 2.1510 2.4000
Ca 2.1510 2.1329 4.0000
Mg 0.0000 0.0000 0.0000
Mg 0.0000 4.2659 1.6000
Nb 4.2659 0.0000 1.6000
Nb 0.0000 0.0000 3.2000


5
Lattice="-2.2016 2.2016 7.4766 2.2016 -2.2016 7.4766 2.2016 2.2016 -7.4766" Properties=species:S:1:pos:R:3 comment="GGA-PBE Ca2Mg2Nb, relaxed" e_form_ev_per_atom=0.842 pbc="T T T"
Ca 2.2016 0.0000 3.7383
Ca 0.0000 2.2016 3.7383
Mg 0.0000 0.0000 1.3330
Mg 0.0000 0.0000 13.6203
Nb 0.0000 0.0000 7.4766


10
Lattice="8.6951 0.0000 0.0000 0.0000 8.6951 0.0000 0.0000 0.0000 3.5854" Properties=species:S:1:pos:R:3 comment="GGA-PBE Ca2Mg2Nb, relaxed" e_form_ev_per_atom=0.551 pbc="T T T"
Ca 1.5447 2.8028 0.0000
Ca 2.8028 7.1503 0.0000
Ca 5.8923 1.5447 0.0000
Ca 7.1503 5.8923 0.0000
Mg 1.0784 5.4259 1.7927
Mg 3.2691 1.0784 1.7927
Mg 5.4259 7.6167 1.7927
Mg 7.6167 3.2691 1.7927
Nb 0.0000 0.0000 1.7927
Nb 4.3475 4.3475 1.7927


4
Lattice="0.0000 3.4928 3.4928 3.4928 0.0000 3.4928 3.4928 3.4928 0.0000" Properties=species:S:1:pos:R:3 comment="GGA-PBE CaMgNb2, relaxed" e_form_ev_per_atom=0.864 pbc="T T T"
Ca 0.0000 0.0000 0.0000
Mg 3.4928 3.4928 3.4928
Nb 1.7464 1.7464 1.7464
Nb 5.2393 5.2393 5.2393


4
Lattice="0.0000 3.8429 3.8429 3.8429 0.0000 3.8429 3.8429 3.8429 0.0000" Properties=species:S:1:pos:R:3 comment="GGA-PBE Ca2MgNb, relaxed" e_form_ev_per_atom=0.524 pbc="T T T"
Ca 1.9214 1.9214 1.9214
Ca 5.7643 5.7643 5.7643
Mg 0.0000 0.0000 0.0000
Nb 3.8429 3.8429 3.8429


16
Lattice="4.3714 0.0000 0.0000 0.0000 4.3714 0.0000 0.0000 0.0000 8.8642" Properties=species:S:1:pos:R:3 comment="GGA-PBE CaMg6NbO8, relaxed" formation_energy_uncorrected_kj_per_mol_atoms=-233.9 pbc="T T T"
Ca 0.0000 0.0000 0.0000
Mg 0.0000 0.0000 4.4321
Mg 0.0000 2.1857 2.3222
Mg 0.0000 2.1857 6.5420
Mg 2.1857 0.0000 2.3222
Mg 2.1857 0.0000 6.5420
Mg 2.1857 2.1857 4.4321
Nb 2.1857 2.1857 0.0000
O 0.0000 0.0000 2.3580
O 0.0000 0.0000 6.5062
O 0.0000 2.1857 0.0000
O 0.0000 2.1857 4.4321
O 2.1857 0.0000 0.0000
O 2.1857 0.0000 4.4321
O 2.1857 2.1857 2.3406
O 2.1857 2.1857 6.5237

~~~~~

(1)
A plane-wave DFT calculation with PBEsol was carried out for crystalline GaAsSe3 at its relaxed geometry.

Cell lengths 4.8372, 4.8372, 4.8372 Å; angles 90.00, 90.00, 90.00 degrees
Closest atoms and distances in Å follow each position.
Positions (direct):
Ga (0.0000, 0.0000, 0.0000)  6 Se 2.42
As (0.5000, 0.5000, 0.5000)  12 Se 3.42
Se (0.0000, 0.0000, 0.5000)  2 Ga 2.42
Se (0.0000, 0.5000, 0.0000)  2 Ga 2.42
Se (0.5000, 0.0000, 0.0000)  2 Ga 2.42

Computed properties:
E_form (uncorrected)	0.492	eV per atom
SG	Pm-3m
DOS at the Fermi energy	0.863	states/eV per atom

***

(2)
A plane-wave DFT calculation with PBEsol was carried out for crystalline TaGaAsSe2 at its relaxed geometry.
'''

Coming down here to Montana we were stuck at the border for 3 hours by a crossing guard who I was sure thought we wanted to smuggle in herds of buffalo or thought we wanted to get all the cattle in Montana to start a revolution. As such, we had to wait for a while in the office. While we were waiting, I found after a while I could relax a bit and as such I was able to cheer the others up a little. I even realized that their office was actually painted like their flag. Red, white and blue… weird. We aren’t near as proud of our country. It’s a shame sometimes. One of the main reasons they held us there was that one of our letters of invitation, out of three, was an email print off with no letterhead. As such we had to get VTI to send the border a detailed summary about who we are, what we do, and whether or not we were going to serve juice or hand out markers (seriously….) So, we waited… and waited… three hours in, a different guy came up very apologetic saying that the fax machine had gibbled up and accidentally lost our fax in with another. So they did find it, but had taken a while.
This was our introduction to the U.S. of A.

We did Day Vacation Bible school the first week were there in a town called Ulm…Olm…I forget now… But it sounds like those. It’s just slightly south of Great Falls. Anyways, I immediately realized a couple things. One, they still had mosquitoes south of the Canadian border. And two, that things are a lot more ‘Christian’ in the States. I mean, in Canada, religion has to be carefully regulated and *gasp* to think you could maybe find something ‘religious’ in a store or something?! Oh the horrors. But in the States, ‘Christian’ things are everywhere. Advertisements for example sometimes portray cross necklaces being worn on the advertisement. It was different to see. Other things like that.
Perhaps, one of the reasons it interested me so much was that I had recently been reading a book by Rob Bell called, ‘Velvet Elvis’… It talks about ‘repainting the Christian faith’. Now one of the things he talked about was that by definition, a Christian should be living a better life. You know a more fulfilled one. Or simply a better one. Living life to the full. Using the talents God has given us and just giving a 110% to give God glory in what we do. This is Christian. And there are times where people will sell things that are ‘Christian’ that aren’t. Like, say, there’s this new ‘Christian’ band out but they don’t portray anything good…. Is it truly ‘Christian’ then? Anyways, I was in the middle of a whole lot of thinking and trying to figure out things like that when at the end of the week at VBS I became very upset. Not angry. More depressed. I was looking over my life, my purpose and how I should be living. I realized that no matter what I did, I always seemed to mess up. I’d ask God to help me be a good leader, or to work hard, or to not sin, the typical, but I kept on messing up. What’s with that? It was a very hard time for me. And I was like that for nearly 2 weeks.
Meanwhile we had been doing 2 DVBS programs a day in the towns of Avon and Elliston. The kids were great but I felt awful. But God broke through. I don’t quite understand everything that happened, but I remember driving home one evening and that despair that had been floating above my head lifted and I felt joy again. It was amazing. And it was really great that I was back on my feet just before camp started at Camp Mizpah. We worked with Dave Caroll and his family. It was a great week at camp. God worked there. We were able to share so much about ourselves with these kids and they with us. It was great. We’d be out there at this little fire pit area with an American flag. Out there we saw these kids spill their hearts out to each other. The first night we really started sharing with each other, there was so much pain that they poured out all at once that you could feel it hanging in the air. We sent up a lot of prayers and there was a lot of group praying that was done.
The next night there I was able to share about letting God take us. It’s only from Jesus that we can find who we really are. My problem was I was looking in on myself, and the more I did so, the more I lost myself. The more we look to Jesus, the more we find who we are. It’s weird like that. Anyways, so we had more prayer and praise and it was a great time. I miss all those kids now. It was a great week at camp. I have pics up from all of that. It was great. I had a nasty sunburn. AJ and myself. As such, on swim day I was out there in a full big brown hoody so as to not burn myself any further. They thought was I was weird. But they were really glad I came, especially the guys from my cabin.
So, this last week we had another 2 DVBS programs every day. One in Belt and the other in Highwood. I think that’s right. It’s also somewhat near Great Falls. We had a good time there and the kids were great. We also had a lot more energy this week because of all the helpers they had to assist us in the games and crafts. I enjoyed making tie dye shirts. Hehe.
I realized that they liked it when I spiked up my hair… so I did that a fair bit of the time… Those kids were great. The Pastor there is named Brent, and he would faithfully water down the road every morning. The reason he did so was it would get so hot that the tar on the road would get sticky… I mean, really sticky…. And it would inevitably end up on kids’ shoes and on the church carpets. Therefore, he’d make sure to water the road to try to keep it cool enough not to get sticky. I sometimes got quite stuck later in the afternoons anyways though….
After our fine time there and being able to stay with Ron and Pat Long, we made our way back to Canada in a big ol’ white van.

And now we arrive at where we first found ourselves.

AJ was content all afternoon listening to music and occasionally listening on something crazy that was happening.
Bryce was content all afternoon reading, eating and (when he could get a hold of the laptop) to play freecell. We had a grand time bugging each other and comparing speculative thoughts on varying issues.
He liked eating the cookies.
Coralie and Rhys sat in the front after we got back into Canada, making sure to wave at every oncoming vehicle. What they discovered is that on the main road, roughly 10% of the drivers waved back. On smaller roads near smaller towns, the percentage increased to more than 25%. Very interesting. My theory is that Alberta people are just playing hard to get. Unlike Manitoba who’s licence plate motto is ‘A friendly place’ or something to that effect. Alberta is Wild Rose country… hard to get…beautiful but with some thorns you know? Saskatchewan’s people are always looking to the ‘living skies’ because they don’t want to look at the roads they have to drive on… J
Janelle. She was trying to learn some German and to count the train cars we would see whenever we were stopped by a passing train. Our job was to try to make sure she’d lose count. It was a blast. Hehehe.
Me? I was just thinking over what to say in this entry and trying to make sure that Janelle would lose count of the train cars. It was a great ride back, and this time we didn’t have trouble at the border.

God has been doing amazing things and He helped renew my spirit and I’m eager to get back out there doing my best for Him. So we learned a few things on the way back…
One, people must think we’re weird because we’ve been so overtired the last while. You know how you can get loopy at the end of a long day? Yeah… it’s great.
Two, that God can do amazing things if we are willing to let Him work.
Three, God can use anyone…
Four, bikers are more friendly than the rest of the vehicle drivers.

Now today it is Sunday and I'm hoping Karina will be swinging by. We're heading off to Camp Evergreen, near Okatoks, this afternoon. Should be an interesting week.
Thank you all for your prayers!
Grace and Peace
~ James